Job =
Restate everything further below exactly.

Entries =
{
  "formula": "C24H49BN6O4Si",
  "method": "wB97M-V/def2-TZVPD",
  "symbols": ["C", "Si", "C", "C", "C", "N", "N", "C", "C", "B", "O", "O", "N", "N", "H", "H", "H", "H", "H", "H", "H", "H", "H", "H", "H", "H", "H", "C", "C", "C", "C", "C", "C", "N", "O", "C", "C", "C", "H", "H", "H", "H", "H", "H", "H", "H", "H", "H", "H", "H", "H", "H", "H", "H", "H", "H", "C", "C", "C", "C", "C", "C", "N", "O", "C", "C", "C", "H", "H", "H", "H", "H", "H", "H", "H", "H", "H", "H", "H", "H", "H", "H", "H", "H", "H"],
  "coordinates": [[1.61240, -3.07477, 3.17205], [1.38010, -1.80089, 1.82098], [1.85768, -2.56882, 0.16681], [2.53766, -0.33905, 2.08068], [-0.43581, -1.21262, 1.69644], [-0.97272, -1.12462, 0.49067], [-2.23708, -0.74317, 0.41331], [-2.85529, -0.48375, 1.55047], [-4.28202, -0.10777, 1.45867], [-5.10658, -1.43512, 1.75700], [-5.12454, -1.90736, 3.05611], [-5.77540, -2.11656, 0.76477], [-2.31944, -0.53847, 2.75659], [-1.05609, -0.91871, 2.83023], [0.89020, -3.88114, 3.14967], [2.58667, -3.52276, 3.02284], [1.61054, -2.64975, 4.16817], [2.07724, -1.74947, -0.49876], [2.68994, -3.24368, 0.26235], [0.97463, -3.06355, -0.21031], [2.42555, 0.35916, 1.26441], [3.54274, -0.73151, 2.00572], [2.37566, 0.13248, 3.03915], [-4.50064, 0.65871, 2.18524], [-4.48500, 0.25405, 0.46636], [-4.30704, -2.39479, 3.24972], [-5.18914, -2.81827, 0.43314], [-7.83288, 4.25521, -1.47180], [-7.40041, 4.39460, 0.00548], [-7.34308, 5.87258, 0.39511], [-6.14521, 6.61239, -0.20189], [-4.84082, 5.88361, 0.12051], [-4.86170, 4.40815, -0.27798], [-6.08525, 3.72711, 0.23809], [-5.94192, 3.45059, 1.48755], [-4.76541, 4.27776, -1.80993], [-3.61748, 3.71717, 0.26224], [-8.48677, 3.70041, 0.81945], [-7.45312, 5.05063, -2.11055], [-7.51450, 3.29820, -1.88570], [-8.91812, 4.29653, -1.55573], [-7.29788, 5.95729, 1.48543], [-8.27105, 6.35775, 0.08523], [-6.26225, 6.72713, -1.28287], [-6.10488, 7.62419, 0.20596], [-4.00524, 6.37705, -0.37992], [-4.64964, 5.96568, 1.19513], [-4.89788, 3.24019, -2.11923], [-3.78051, 4.60008, -2.14741], [-5.48345, 4.88849, -2.35083], [-3.51292, 3.83005, 1.33995], [-2.72410, 4.14586, -0.19057], [-3.63409, 2.65068, 0.03008], [-8.53429, 2.63620, 0.58280], [-9.45344, 4.14423, 0.58492], [-8.33238, 3.80678, 1.89131], [8.54812, -2.45678, -0.27059], [7.25031, -3.27708, -0.09368], [7.49525, -4.73425, -0.48742], [7.61976, -4.94338, -1.99606], [6.41851, -4.34534, -2.72720], [6.16317, -2.88070, -2.37147], [6.13521, -2.68415, -0.89182], [5.00094, -3.06979, -0.42248], [7.23376, -1.98658, -3.02524], [4.83873, -2.43440, -2.98125], [6.91888, -3.20732, 1.39310], [9.14864, -2.77610, -1.12032], [8.32936, -1.39458, -0.38199], [9.18779, -2.56315, 0.60466], [6.67113, -5.35191, -0.11643], [8.39828, -5.09029, 0.01289], [8.55071, -4.50941, -2.37068], [7.67833, -6.01234, -2.20938], [6.56073, -4.43022, -3.80630], [5.52990, -4.93690, -2.48510], [7.13587, -0.95460, -2.68600], [7.10912, -1.99200, -4.10784], [8.25420, -2.31080, -2.83855], [4.00736, -3.06555, -2.67270], [4.90375, -2.48708, -4.06738], [4.60759, -1.40441, -2.70499], [6.71181, -2.18081, 1.70099], [7.76797, -3.57028, 1.97057], [6.06128, -3.82417, 1.65536]],

Reply =
{
  "formula": "C24H49BN6O4Si",
  "method": "wB97M-V/def2-TZVPD",
  "symbols": ["C", "Si", "C", "C", "C", "N", "N", "C", "C", "B", "O", "O", "N", "N", "H", "H", "H", "H", "H", "H", "H", "H", "H", "H", "H", "H", "H", "C", "C", "C", "C", "C", "C", "N", "O", "C", "C", "C", "H", "H", "H", "H", "H", "H", "H", "H", "H", "H", "H", "H", "H", "H", "H", "H", "H", "H", "C", "C", "C", "C", "C", "C", "N", "O", "C", "C", "C", "H", "H", "H", "H", "H", "H", "H", "H", "H", "H", "H", "H", "H", "H", "H", "H", "H", "H"],
  "coordinates": [[1.61240, -3.07477, 3.17205], [1.38010, -1.80089, 1.82098], [1.85768, -2.56882, 0.16681], [2.53766, -0.33905, 2.08068], [-0.43581, -1.21262, 1.69644], [-0.97272, -1.12462, 0.49067], [-2.23708, -0.74317, 0.41331], [-2.85529, -0.48375, 1.55047], [-4.28202, -0.10777, 1.45867], [-5.10658, -1.43512, 1.75700], [-5.12454, -1.90736, 3.05611], [-5.77540, -2.11656, 0.76477], [-2.31944, -0.53847, 2.75659], [-1.05609, -0.91871, 2.83023], [0.89020, -3.88114, 3.14967], [2.58667, -3.52276, 3.02284], [1.61054, -2.64975, 4.16817], [2.07724, -1.74947, -0.49876], [2.68994, -3.24368, 0.26235], [0.97463, -3.06355, -0.21031], [2.42555, 0.35916, 1.26441], [3.54274, -0.73151, 2.00572], [2.37566, 0.13248, 3.03915], [-4.50064, 0.65871, 2.18524], [-4.48500, 0.25405, 0.46636], [-4.30704, -2.39479, 3.24972], [-5.18914, -2.81827, 0.43314], [-7.83288, 4.25521, -1.47180], [-7.40041, 4.39460, 0.00548], [-7.34308, 5.87258, 0.39511], [-6.14521, 6.61239, -0.20189], [-4.84082, 5.88361, 0.12051], [-4.86170, 4.40815, -0.27798], [-6.08525, 3.72711, 0.23809], [-5.94192, 3.45059, 1.48755], [-4.76541, 4.27776, -1.80993], [-3.61748, 3.71717, 0.26224], [-8.48677, 3.70041, 0.81945], [-7.45312, 5.05063, -2.11055], [-7.51450, 3.29820, -1.88570], [-8.91812, 4.29653, -1.55573], [-7.29788, 5.95729, 1.48543], [-8.27105, 6.35775, 0.08523], [-6.26225, 6.72713, -1.28287], [-6.10488, 7.62419, 0.20596], [-4.00524, 6.37705, -0.37992], [-4.64964, 5.96568, 1.19513], [-4.89788, 3.24019, -2.11923], [-3.78051, 4.60008, -2.14741], [-5.48345, 4.88849, -2.35083], [-3.51292, 3.83005, 1.33995], [-2.72410, 4.14586, -0.19057], [-3.63409, 2.65068, 0.03008], [-8.53429, 2.63620, 0.58280], [-9.45344, 4.14423, 0.58492], [-8.33238, 3.80678, 1.89131], [8.54812, -2.45678, -0.27059], [7.25031, -3.27708, -0.09368], [7.49525, -4.73425, -0.48742], [7.61976, -4.94338, -1.99606], [6.41851, -4.34534, -2.72720], [6.16317, -2.88070, -2.37147], [6.13521, -2.68415, -0.89182], [5.00094, -3.06979, -0.42248], [7.23376, -1.98658, -3.02524], [4.83873, -2.43440, -2.98125], [6.91888, -3.20732, 1.39310], [9.14864, -2.77610, -1.12032], [8.32936, -1.39458, -0.38199], [9.18779, -2.56315, 0.60466], [6.67113, -5.35191, -0.11643], [8.39828, -5.09029, 0.01289], [8.55071, -4.50941, -2.37068], [7.67833, -6.01234, -2.20938], [6.56073, -4.43022, -3.80630], [5.52990, -4.93690, -2.48510], [7.13587, -0.95460, -2.68600], [7.10912, -1.99200, -4.10784], [8.25420, -2.31080, -2.83855], [4.00736, -3.06555, -2.67270], [4.90375, -2.48708, -4.06738], [4.60759, -1.40441, -2.70499], [6.71181, -2.18081, 1.70099], [7.76797, -3.57028, 1.97057], [6.06128, -3.82417, 1.65536]],